First House Credit Loan

Fayora Imobiliare is the BCR partner for The New House Credit Loan!

Contact Fayora Imobiliare and we will work together with the BCR adviser to analyze your needs, and then we will counsel you all the way till you purchase your new home! We were chosen by BCR for our earnestness! Do the same!

Apply for a house loan at BCR!

Do you remember your first bike? Your first favorite toy? The first book read? You didn't know it yet, but the time to pick a home would come. Now, however, you konw how important this is to you. Choose the New House loan and turn your hectic life into a rich one, at home!



Beneficiaries: to obtain this credit you need to be minimum18 years old, and to fulfill the criteria of the governmental program „FIRST HOUSE” and the bank's own eligibility criteria.

Destination: We recommend you, and BCR will approve your credit application based on:

 a) to buy a new housing unit, for which the handover protocol at the completion of the new
construction works was signed no later than 5 years before the date when the guaranteed loan is
applied for
b) to buy a consolidated housing unit, for which the handover protocol at the completion of the
intervention works to consolidate and/or decrease the seismic risk was signed no later than 5
years before the date when the guaranteed loan is applied for
c) to buy a housing unit, for which the handover protocol at the completion of the new
construction or intervention works to consolidate and/or decrease the seismic risk, as the case
may be, was signed more than 5 years before the date when the guaranteed loan is applied for
d) to develop a future housing unit as an individual owner

 Currency: RON

Maximum amount: up to 95% of the purchasing price, but no more than:

 – not more than 95% of the purchase price, without going in excess of EUR 66,500 in RON
equivalent in the case of loans granted for the houses referred to letters a)-c) of the Destination
paragraph, with a purchase price of maximum EUR 70,000 in RON equivalent, but not more than the
value resulting from the valuation report of the house
– not more than 85% of the purchase price, with a value between minimum of EUR 59,501 and
maximum of EUR 119,000 in RON equivalent in the case of loans granted for the houses referred to
letters a)-c) of the Destination paragraph, with a purchase price between EUR 70,001 – EUR 140,000
in RON equivalent, but not more than the value resulting from the valuation report of the house

 Maximum duration: 30 years

Minimum down payment

– 5% of the purchase price for the houses referred to letters a) to c) of the destination paragraph, with a
purchase price of maximum EUR 70,000 in RON equivalent
– 15% of the purchase price for the houses referred to letters a)-b) of the destination paragraph, with a
purchase price between 70.001 -140.000 EUR RON equivalent

Guaranties: We recommend you and BCR will accept your loan application based on:

 ● If you put the Bank as beneficiary of a mortgage on the real estate property
bought/developed based on the loan
● In exchange for the guarantee established based on what you collect in your current
accounts opened with BCR (movable mortgage on all crediting accounts)
● In exchange for a collateral deposit established to the benefit of the Bank and valid throughout
the loan duration, filled with the amount of the first three interest rates, valid and frozen for the
entire loan duration



● The Mandatory Home Insurance (PAD) in favor of the state, represented by the Ministry of Public Finances and the bank, for the whole duration.

● Optional Building Insurance purchased with the credit, in favor of the state, represented by the Ministry of Public Finances and the bank, for the whole duration

● Building Insurance for the building work in progress


 – Optional Life Insurance BCR Life Insurance (against payment), provided that the eligibility
conditions set up by the Insurer are met.
– Complex Optional Insurance (against payment), supporting you in case of unemployment,
extended medical leave and total and permanent disability (if the eligibility conditions set
up by the Insurer are met)
– Optional Insurance for serious diseases and partial and permanent disability (against
payment), supporting you in case of risks occurrence of myocardial infarction, cancer,
cerebral vascular accident, partial and permanent disability (if the eligibility conditions set up by
the Insurer are met

 Required documents:

Identification (for applicant, family members and if needed other people that participate with their income in paying the credit)

Marriage Certificate or Divorce Sentence, if needed (copy)

Proof of income (for applicant, and if needed other co-payers; different forms according to income)

Documents confirming the down payment: purchase draft of contract, notary authenticated receipt, etc.

Documents regarding other credits/credit cards/overdraft that the applicants has from other banks.

Declaration by self responsibility and authenticated, that at the moment of application the applicant does not own personally or with the marriage partner, no house/apartment, regardless of the matter of obtainment, or that the applicant, sole or with the marriage partner do not own a place to live obtained by any other means than this program, larger than 50m².

== Crystal structures from another source follow ==
<<<
1.
# CaP2W2O9 (PBE with a Hubbard U, optimized geometry)
data_CaP2W2O9
_cell_length_a 15.1445
_cell_length_b 6.7775
_cell_length_c 7.4402
_cell_angle_alpha 90.00
_cell_angle_beta 90.00
_cell_angle_gamma 90.00
_symmetry_space_group_name_H-M 'P n m a'
_symmetry_Int_Tables_number 62
loop_
_symmetry_equiv_pos_as_xyz
'x,y,z'
'-x,-y,-z'
'-x+1/2,-y,z+1/2'
'x+1/2,y,-z+1/2'
'x+1/2,-y+1/2,-z+1/2'
'-x+1/2,y+1/2,z+1/2'
'-x,y+1/2,-z'
'x,-y+1/2,z'
loop_
_atom_site_label
_atom_site_type_symbol
_atom_site_fract_x
_atom_site_fract_y
_atom_site_fract_z
_atom_site_occupancy
Ca1 Ca 0.2220 0.2500 0.1017 1
P1 P 0.0729 0.7500 0.6297 1
P2 P 0.1905 0.7500 0.1020 1
W1 W 0.0000 0.0000 0.0000 1
W2 W 0.1239 0.2500 0.6323 1
O1 O 0.0051 0.7500 0.4824 1
O2 O 0.0236 0.7500 0.8175 1
O3 O 0.0619 0.2500 0.8820 1
O4 O 0.1344 0.5581 0.1003 1
O5 O 0.1366 0.5705 0.6238 1
O6 O 0.2411 0.2500 0.4425 1
O7 O 0.2504 0.2500 0.7744 1
# size of the total moment	6.0	μB per formula unit
# energy of formation from the pure elements	-2.536	eV per atom
# MP2020-corrected energy	-8.485	eV/atom

***

2.
# Li9Mn2Co5O16 (PBE with a Hubbard U, optimized geometry)
data_Li9Mn2Co5O16
_cell_length_a 5.1401
_cell_length_b 5.8303
_cell_length_c 10.3370
_cell_angle_alpha 104.81
_cell_angle_beta 95.18
_cell_angle_gamma 108.16
_symmetry_space_group_name_H-M 'P 1'
_symmetry_Int_Tables_number 1
loop_
_symmetry_equiv_pos_as_xyz
'x,y,z'
loop_
_atom_site_label
_atom_site_type_symbol
_atom_site_fract_x
_atom_site_fract_y
_atom_site_fract_z
_atom_site_occupancy
Li1 Li 0.0000 0.0000 0.0000 1
Li2 Li 0.0000 0.2438 0.5128 1
Li3 Li 0.0031 0.4952 0.0010 1
Li4 Li 0.0060 0.6160 0.7503 1
Li5 Li 0.0071 0.3792 0.2487 1
Li6 Li 0.0065 0.8695 0.2512 1
Li7 Li 0.0079 0.1312 0.7521 1
Li8 Li 0.0110 0.7691 0.5097 1
Li9 Li 0.5069 0.1858 0.6303 1
Mn1 Mn 0.5006 0.3148 0.3804 1
Mn2 Mn 0.5131 0.6910 0.6304 1
Co1 Co 0.4972 0.4383 0.1264 1
Co2 Co 0.5019 0.8202 0.3792 1
Co3 Co 0.5058 0.9381 0.1284 1
Co4 Co 0.5067 0.0585 0.8769 1
Co5 Co 0.5076 0.5527 0.8785 1
O1 O 0.2621 0.2846 0.9514 1
O2 O 0.2719 0.1832 0.1972 1
O3 O 0.2789 0.4253 0.6940 1
O4 O 0.2799 0.0352 0.4316 1
O5 O 0.2796 0.6877 0.1963 1
O6 O 0.2862 0.5389 0.4419 1
O7 O 0.2921 0.8939 0.6942 1
O8 O 0.3034 0.7818 0.9407 1
O9 O 0.7140 0.5933 0.3119 1
O10 O 0.7175 0.1003 0.3178 1
O11 O 0.7196 0.3366 0.8261 1
O12 O 0.7277 0.1944 0.0638 1
O13 O 0.7294 0.4734 0.5558 1
O14 O 0.7347 0.6973 0.0624 1
O15 O 0.7346 0.9476 0.5582 1
O16 O 0.7549 0.8289 0.8016 1
# size of the total moment	10.0	μB per formula unit
# energy of formation from the pure elements	-1.853	eV per atom
# energy relative to the lowest polymorph listed for this composition	11	meV per atom
# MP2020-corrected energy	-6.547	eV/atom

* * * * *

Entry 1:
Computed, not measured: a geometry-optimized CeMg14Ni structure at the PBE level of DFT.

Cell: 6.587 6.587 10.480 Å, 90.00 90.00 120.00°
Sites, in units of the cell vectors:
Ce (0.167, 0.333, 0.625)
Mg (0.159, 0.830, 0.125)
Mg (0.182, 0.841, 0.625)
Mg (0.670, 0.341, 0.125)
>>>

B. Specific documents, different for the credit destination: purchase, build etc.:

For instance, to buy a home you need:

Draft of purchase contract

Proof of property (copy)

Declaration by self responsibility of seller, that according to the 10/2001 Law, the real estate property is not judiciary challenged and that there are no judicial controversies about it

Extracts from the Fiduciary registry (copy)

Certificate of energetic efficience.

Ask your BCR consultant for the complete list of all documents required for a credit application, according to your needs! desp-001 

This is what you need to do in order to get a credit loan from BCR:

– Contact us and we will make an appointment with a BCR loan consultant

– Show the BCR consultant documents about your income

– Verify if all conditions are met for the amount requested

Attached: crystal structures:
********
(1)
Entry from the Materials Project: a geometry-optimized La2ZrS5 structure (GGA-PBE).

Properties
Energy with MP2020 corrections, eV/atom: -7.181

Cell: 7.4384 8.2552 11.5382 Å, 90.00 90.00 90.00°
Element x y z (fractional)
S 0.3598 0.7500 0.1930
S 0.3402 0.2500 0.2084
S 0.8598 0.2500 0.3070
S 0.8224 0.4656 0.5735
S 0.6598 0.7500 0.7916
S 0.4419 0.2500 0.4958
S 0.3224 0.5344 0.9265
S 0.1776 0.5344 0.4265
S 0.8402 0.7500 0.2916
S 0.3224 0.9656 0.9265
S 0.1598 0.2500 0.7084
S 0.8224 0.0344 0.5735
S 0.9419 0.7500 0.0042
S 0.1776 0.9656 0.4265
S 0.6776 0.0344 0.0735
S 0.6776 0.4656 0.0735
S 0.1402 0.7500 0.6930
S 0.6402 0.2500 0.8070
S 0.5581 0.7500 0.5042
S 0.0581 0.2500 0.9958
La 0.5589 0.4985 0.3286
La 0.4411 0.9985 0.6714
La 0.4411 0.5015 0.6714
La 0.5589 0.0015 0.3286
La 0.9411 0.4985 0.8286
La 0.0589 0.5015 0.1714
La 0.0589 0.9985 0.1714
La 0.9411 0.0015 0.8286
Zr 0.4264 0.2500 0.9896
Zr 0.0736 0.2500 0.4896
Zr 0.5736 0.7500 0.0104
Zr 0.9264 0.7500 0.5104

=====

(2)
Entry from the Materials Project: a geometry-optimized LiGaSe2O6 structure (GGA-PBE).

Properties
Total moment, μB/cell: 0.0
Energy with MP2020 corrections, eV/atom: -5.882

Cell: 9.0943 9.0943 9.0943 Å, 107.67 107.67 113.15°
Element x y z (fractional)
Ga 0.8373 0.3750 0.9623
Ga 0.1250 0.1627 0.5377
Ga 0.6250 0.5873 0.4623
Ga 0.4127 0.8750 0.0377
O 0.3182 0.1598 0.4759
O 0.8775 0.6650 0.6224
O 0.5698 0.2907 0.8675
O 0.9523 0.1733 0.6325
O 0.2074 0.0850 0.7124
O 0.4233 0.7023 0.1325
O 0.7450 0.1225 0.7876
O 0.7093 0.5767 0.2790
O 0.0924 0.4339 0.0241
O 0.6802 0.0477 0.2210
O 0.5661 0.5902 0.6585
O 0.4098 0.0682 0.9759
O 0.8402 0.3161 0.1585
O 0.5407 0.3198 0.3675
O 0.9150 0.6275 0.1224
O 0.3350 0.9574 0.2124
O 0.0426 0.2550 0.3776
O 0.8267 0.4593 0.7790
O 0.5050 0.7926 0.8776
O 0.1576 0.6818 0.8415
O 0.3725 0.4950 0.2876
O 0.9318 0.9076 0.3415
O 0.6839 0.8424 0.5241
O 0.2977 0.4302 0.7210
Se 0.3942 0.0660 0.7788
Se 0.9628 0.6840 0.8282
Se 0.8558 0.1346 0.1718
Se 0.3160 0.1442 0.2788
Se 0.3846 0.6058 0.6718
Se 0.9340 0.7128 0.3282
Se 0.2872 0.6154 0.2212
Se 0.8654 0.0372 0.7212
Li 0.5608 0.3750 0.6858
Li 0.1250 0.4392 0.8142
Li 0.6250 0.3108 0.1858
Li 0.6892 0.8750 0.3142

=====

(3)
Entry from the Materials Project: a geometry-optimized ThFe4P2 structure (GGA-PBE).

Properties
Total moment, μB/cell: 6.7

Cell: 3.7171 10.7303 14.2563 Å, 90.00 90.00 90.00°
Element x y z (fractional)
Fe 0.5000 0.2355 0.4210
Fe 0.0000 0.4067 0.0532
Fe 0.0000 0.5692 0.3260
Fe 0.5000 0.9308 0.8260
Fe 0.5000 0.0933 0.5532
Fe 0.0000 0.2613 0.5367
Fe 0.0000 0.0777 0.4451
Fe 0.0000 0.5933 0.9468
Fe 0.5000 0.7645 0.5790
Fe 0.0000 0.7355 0.0790
Fe 0.5000 0.4223 0.9451
Fe 0.0000 0.1773 0.2891
Fe 0.5000 0.6773 0.2109
Fe 0.5000 0.7613 0.9633
Fe 0.5000 0.0692 0.1740
Fe 0.0000 0.7387 0.4633
Fe 0.0000 0.9223 0.5549
Fe 0.5000 0.3227 0.7891
Fe 0.5000 0.5777 0.0549
Fe 0.5000 0.9067 0.4468
Fe 0.0000 0.4308 0.6740
Fe 0.0000 0.2645 0.9210
Fe 0.5000 0.2387 0.0367
Fe 0.0000 0.8227 0.7109
P 0.5000 0.2959 0.6319
********
The text goes on:

– After your documents are accepted (including documents attesting the building to be purchased), we present you the “Standard European information regarding private loans” and sign the loan application

– After paying the evaluation tax, an external evaluator will analyze the building signed as guaranty

– Together with BCR we will inform you if your application was accepted or rejected

– If your application has been accepted, you sign the loan contract, guaranty contracts, insurance policies, etc.

– BCR will transfer the money into your account, from where you can make the transfers towards the seller/builder, provider, etc, according to the purchasing contract, or towards the financial institutions if the goal is to refinance an existing credit.

If the desired building hasn’t been found at the moment BCR approves the credit, you will have 45 days at your disposal to find it and prepare the necessary documentation.




Firstly they approve your application and then you have up to 90 days to find the home of your dreams


● Small monthly installment → a decreased financial effort given the reduced cost and the long
loan duration

● Zero analysis commission


● you can bring up to 3 co payers which means you can get a bigger amount


By buying life and unemployment insurance you protect yourself and your family. In case of unfortunate events, the credit does not become a burden.


● the documentation is simplified: no copies of your work contract, even without paycheck proof if your income gets into a BCR account

● you get specialized consultancy on whole credit duration


● You can pay the monthly rates without going to the bank, by using Click / Alo 24 Banking BCR

● You have the possibility of reimbursing the whole amount with zero costs

● You can pay fixed or decreasing rates
